Excerpt >
An optimized crystal structure of La2PdI. Source: Alexandria via LeMat-Bulk, functional PBE.

Lattice parameters (Å, degrees): 4.306 4.306 8.658 75.60 75.60 60.00
Positions (direct):
I  0.499  0.499  0.502
La  0.269  0.269  0.192
Pd  0.667  0.667  0.999
La  0.064  0.064  0.808

Values from the calculation:
Formation energy from raw total energies: -0.944 eV/atom
Theoretical density: 6.375 Mg/m³
Total magnetic moment: 0.00 μB per atom
V: 33.29 Å³/atom
Energy relative to the lowest polymorph listed for this composition: 0.12 kcal/mol of atoms

An optimized crystal structure of La2PdI. Source: Alexandria via LeMat-Bulk, functional PBE.

Lattice parameters (Å, degrees): 8.162 8.162 6.989 54.28 54.28 90.00
Positions (direct):
La  0.165  0.625  0.250
Pd  0.250  0.750  0.500
I  0.000  0.000  0.000
I  0.750  0.250  0.500
Pd  0.500  0.500  0.000
La  0.585  0.125  0.250
La  0.375  0.415  0.750
La  0.875  0.835  0.750

Values from the calculation:
Formation energy from raw total energies: -0.646 eV/atom
Theoretical density: 6.463 Mg/m³
Total magnetic moment: 0.00 μB per atom
V: 32.83 Å³/atom
Energy relative to the lowest polymorph listed for this composition: 6.99 kcal/mol of atoms

An optimized crystal structure of LaPd2I. Source: Alexandria via LeMat-Bulk, functional PBE.

Lattice parameters (Å, degrees): 5.081 5.081 5.081 60.00 60.00 60.00
Positions (direct):
I  0.000  0.000  0.000
Pd  0.250  0.250  0.250
La  0.500  0.500  0.500
Pd  0.750  0.750  0.750

Values from the calculation:
Formation energy from raw total energies: -0.425 eV/atom
Theoretical density: 8.568 Mg/m³
Total magnetic moment: 0.00 μB per atom
V: 23.19 Å³/atom
Energy relative to the lowest polymorph listed for this composition: 0.44 kcal/mol of atoms

An optimized crystal structure of LaPmPdI. Source: Alexandria via LeMat-Bulk, functional PBE.

Lattice parameters (Å, degrees): 4.251 4.251 8.560 90.00 104.38 120.00
Positions (direct):
Pm  0.098  0.947  0.060
Pd  0.306  0.551  0.872
La  0.509  0.152  0.676
I  0.965  0.380  0.361

Values from the calculation:
Formation energy from raw total energies: -0.904 eV/atom
Theoretical density: 6.691 Mg/m³
Total magnetic moment: 0.00 μB per atom
V: 32.09 Å³/atom

> V of number 3 (LaPd2I)?

23.19 Å³/atom

=====

No. 1
The following is a DFT calculation (GGA-PBE) of an optimized crystal structure of Er2ZrSc3.

POSCAR file:
```
Er2ZrSc3
1.0
-3.816 2.844 3.179
-4.969 -3.188 -3.111
2.723 -4.290 7.199
Er Zr Sc
4 2 6
Direct
0.585 0.532 0.326 Er
0.085 0.793 0.326 Er
0.915 0.207 0.674 Er
0.415 0.468 0.674 Er
0.750 0.111 0.000 Zr
0.250 0.889 0.000 Zr
0.250 0.366 0.000 Sc
0.750 0.634 0.000 Sc
0.080 0.282 0.321 Sc
0.420 0.961 0.679 Sc
0.580 0.039 0.321 Sc
0.920 0.718 0.679 Sc
```

Properties
final energy = -6.066 eV/atom
crystal system = monoclinic
symmetry = C2/c
total magnetic moment = 0.0 μB per formula unit
ΔE_f = 0.05 eV/atom


No. 2
The following is a DFT calculation (GGA-PBE) of an optimized crystal structure of Li2AcTl2Cd2.

POSCAR file:
```
Li2AcTl2Cd2
1.0
4.756 0.000 0.000
-2.378 4.540 0.076
0.000 -1.450 8.137
Li Ac Tl Cd
2 1 2 2
Direct
0.129 0.257 0.434 Li
0.871 0.743 0.566 Li
0.000 0.000 0.000 Ac
0.715 0.430 0.225 Tl
0.285 0.570 0.775 Tl
0.587 0.174 0.671 Cd
0.413 0.826 0.329 Cd
```

Properties
final energy = -2.331 eV/atom
crystal system = monoclinic
symmetry = C2/m
total magnetic moment = 0.0 μB per formula unit
ΔE_f = -0.26 eV/atom

Request >
Quote only the lines earlier on with the word "atoms" in them.

Worked solution >
Energy relative to the lowest polymorph listed for this composition: 0.12 kcal/mol of atoms
Energy relative to the lowest polymorph listed for this composition: 6.99 kcal/mol of atoms
Energy relative to the lowest polymorph listed for this composition: 0.44 kcal/mol of atoms